Michael Alan, known as Michael Alan Alien in the art world, has a unique story that sets him apart from other artists. Born during the Blackout of 1977 in New York City, Alan’s arrival into the world coincided with the hospital’s lights miraculously switching back on. This event, coupled with his mother’s belief that he was meant to do great things, set the stage for Alan’s artistic journey.
____________
The following is a quantum chemistry calculation of a 9-piece molecular cluster, C21H46B3Br17NO4P overall at a distorted geometry, from the OMol25 dataset.

```
93
Properties=species:S:1:pos:R:3:forces:R:3
C -2.32098 -3.42033 1.22855 -0.2 -0.4 -0.3
C -2.53392 -4.59040 0.10016 -0.4 -0.2 0.0
C -1.26229 -4.75382 -0.92123 0.3 -0.1 0.2
C -0.95081 -3.40327 -1.83507 0.7 -1.1 0.8
N -2.14731 -2.96562 -2.68279 -0.7 2.2 2.4
B -2.58261 -1.54129 -2.26122 1.1 -1.8 -1.2
O -3.95594 -1.34580 -1.75790 1.1 3.6 -1.2
B -4.44530 0.03045 -1.97008 1.5 0.3 -0.9
Br -6.31244 0.68939 -1.53530 1.9 -1.0 -0.5
O -3.50605 1.07405 -2.51535 0.4 -3.4 3.9
B -2.22015 0.72557 -1.81299 -0.4 -2.2 -3.2
P -1.61130 1.76015 -0.32215 0.3 1.6 2.4
C 0.29012 1.74091 -0.12804 0.5 -0.8 0.7
O -2.21121 0.86596 1.09114 0.4 -1.4 -3.1
O -1.53235 -0.49171 -2.36180 -4.5 0.5 2.0
H -1.32353 -2.84489 1.00455 -2.2 -1.2 0.6
H -2.27199 -3.93297 2.29734 -0.1 1.3 -2.2
H -3.24343 -2.68228 1.16917 2.0 -1.4 0.3
H -3.51166 -4.33859 -0.51113 2.0 -0.5 1.1
H -2.76654 -5.61558 0.65792 0.7 2.1 -1.4
H -0.26976 -4.94444 -0.29810 -2.1 0.4 -1.2
H -1.42242 -5.72195 -1.58621 0.3 2.1 1.1
H -0.64178 -2.56339 -1.04676 -0.5 -1.7 -2.0
H -0.02228 -3.65687 -2.54011 -1.9 0.7 1.7
H -2.94417 -3.63671 -2.60097 1.1 0.8 0.0
H 0.77569 2.71309 -0.57141 -1.1 -2.1 0.6
H 0.73440 0.73832 -0.54502 -0.4 2.2 0.7
H 0.50321 1.78163 1.04580 -0.6 -0.1 -2.6
H -2.28321 -0.09724 0.78488 0.2 1.7 1.1
Br 0.44382 -1.17698 1.49170 0.4 0.1 0.2
C 0.90604 -2.01691 3.19001 0.1 0.1 0.0
C 1.95937 -3.08382 3.00370 0.1 -0.1 0.1
Br 1.18976 -4.71273 2.25617 0.1 0.1 0.0
H -0.02435 -2.39595 3.62237 0.3 0.0 -0.1
H 1.28696 -1.20380 3.81464 -0.1 -0.2 -0.1
H 2.37889 -3.38445 3.96794 -0.1 0.1 -0.1
H 2.77210 -2.78011 2.33812 -0.3 0.0 0.1
Br -4.24320 -0.90268 -5.14419 -0.1 -0.2 -0.2
C -2.55556 -1.27801 -6.04664 0.1 0.2 0.0
C -2.74394 -1.36925 -7.54286 -0.1 0.1 -0.2
Br -3.54670 -3.07281 -8.05072 0.0 0.0 0.0
H -2.15290 -2.19303 -5.60299 -0.2 0.3 -0.2
H -1.90355 -0.43793 -5.79054 -0.1 -0.1 -0.1
H -1.77811 -1.34637 -8.05550 -0.8 -0.1 0.3
H -3.38407 -0.58108 -7.94881 0.0 -0.2 0.2
Br 0.50938 0.26241 6.35738 0.0 0.0 -0.1
C -1.35645 0.67117 5.96369 0.0 0.2 0.1
C -2.27024 -0.43511 6.43657 -0.2 -0.1 -0.1
Br -2.21222 -1.96414 5.22697 -0.1 0.2 0.1
H -1.42210 0.85880 4.88818 0.0 -0.1 0.3
H -1.56376 1.59975 6.50331 0.0 -0.2 -0.1
H -3.31284 -0.10492 6.42715 0.2 0.0 0.0
H -2.02110 -0.80754 7.43407 0.0 0.1 -0.3
Br -0.18095 -3.87900 -5.33855 0.0 -0.1 -0.2
C 0.36704 -4.08254 -7.19911 0.1 -0.2 0.2
C 1.35845 -3.01433 -7.59724 0.1 0.0 -0.2
Br 0.46919 -1.30634 -7.90783 1.0 0.0 0.1
H -0.54479 -4.07563 -7.80306 0.2 0.1 0.1
H 0.82586 -5.07399 -7.25323 0.0 0.2 -0.1
H 1.83351 -3.26459 -8.55003 -0.1 0.0 0.2
H 2.13303 -2.83891 -6.84555 -0.3 -0.1 -0.1
Br 2.86277 4.24462 1.96642 0.1 -0.1 0.0
C 4.55041 3.86930 1.06398 0.0 0.2 0.1
C 4.36203 3.77805 -0.43224 0.1 -0.2 -0.2
Br 3.55927 2.07449 -0.94010 0.2 0.1 0.0
H 4.95307 2.95427 1.50762 -0.1 0.2 -0.2
H 5.20241 4.70937 1.32008 -0.1 -0.1 -0.1
____________
Over the years, Michael Alan Alien has created over 7,000 fully realized pieces of art, showcasing his talent and creativity. His work has been commissioned for various projects, including the HBO series Succession, where his art was featured. Alan’s artwork has been displayed in numerous exhibitions and galleries, gaining recognition and praise from art enthusiasts and celebrities alike.
One such celebrity supporter is Hilarie Burton, who has commissioned Alan for several pieces, including a portrait for her and Jeffrey Dean Morgan’s bedroom. Alan and Morgan also share a connection through art, with Morgan purchasing pieces from Alan and displaying them in his home. Norman Reedus, another star from The Walking Dead, has also commissioned Alan’s work, forming a friendship that blossomed from a shared love of art.
Growing up in New York City during the 80s and 90s, Alan drew inspiration from the vibrant street art scene and iconic artists like Keith Haring and Jean-Michel Basquiat. His art reflects the city’s energy and movement, capturing the essence of change and resilience. Alan’s artistic journey has evolved over the years, transitioning through various stylistic periods, from colorful paintings to intricate line drawings.
One of Alan’s most notable projects is “The Living Installation,” a unique blend of body art, costume design, and street performance. Teaming up with his creative partner Jadda Cat, Alan takes to the streets of NYC, presenting their bodies as canvases adorned with elaborate handcrafted outfits and accessories. Their performances are immersive experiences that blur the lines between art and reality, captivating audiences with their creativity and innovation.
-- Inserted here: quantum chemistry results --
(1)
Density functional theory data (ωB97M-V with the def2-TZVPD basis set) for the molecule C25H24ClN3O4S.

HOMO energy: -8.6999 eV
Structure (SMILES): C=CCNC(=O)c1ccccc1NC(=O)c1ccc(Cl)c(S(=O)(=O)Nc2cc(C)ccc2C)c1

```
58
Properties=species:S:1:pos:R:3:lowdin_charge:R:1
C -0.204 5.226 -1.818 0.009
C -1.269 4.742 -1.208 -0.161
C -1.250 3.866 0.010 -0.171
N 0.043 3.793 0.649 0.075
C 0.827 2.706 0.546 -0.388
O 0.435 1.703 -0.050 0.042
C 2.151 2.770 1.224 -0.058
C 2.786 3.986 1.469 -0.038
C 3.998 4.041 2.130 -0.084
C 4.597 2.871 2.570 -0.064
C 4.005 1.650 2.319 0.006
C 2.795 1.579 1.630 -0.141
N 2.186 0.373 1.330 0.151
C 2.509 -0.894 1.697 -0.406
O 3.490 -1.228 2.330 0.085
C 1.500 -1.886 1.200 -0.102
C 0.153 -1.565 1.064 0.001
C -0.732 -2.499 0.569 -0.291
C -0.300 -3.762 0.197 -0.640
C 1.036 -4.108 0.371 -0.068
C 1.922 -3.174 0.875 0.011
H 2.963 -3.425 1.015 0.125
H 1.368 -5.097 0.100 0.111
Cl -1.413 -4.866 -0.482 0.772
S -2.441 -1.994 0.366 0.644
O -2.581 -0.688 0.943 -0.276
O -3.338 -3.017 0.809 -0.312
N -2.565 -1.928 -1.307 -0.060
C -1.995 -0.764 -1.883 -0.264
C -0.628 -0.765 -2.118 0.019
C 0.008 0.347 -2.646 -0.277
C -0.760 1.464 -2.949 -0.048
C -2.122 1.465 -2.718 -0.044
C -2.766 0.362 -2.174 -0.218
C -4.236 0.379 -1.881 -0.034
H -4.658 1.356 -2.103 0.079
H -4.404 0.154 -0.828 0.077
H -4.764 -0.365 -2.480 0.085
H -2.700 2.348 -2.952 0.109
H -0.286 2.346 -3.355 0.112
C 1.490 0.356 -2.861 -0.038
H 1.897 -0.651 -2.816 0.078
H 1.962 0.953 -2.082 0.072
H 1.739 0.799 -3.823 0.080
H -0.061 -1.655 -1.887 0.120
H -3.524 -2.094 -1.580 0.111
H -0.257 -0.605 1.337 0.119
H 1.372 0.500 0.716 0.091
H 4.471 0.733 2.642 0.103
H 5.537 2.910 3.098 0.108
H 4.474 4.995 2.302 0.102
H 2.349 4.908 1.115 0.106
H 0.365 4.610 1.140 0.135
H -1.990 4.224 0.734 0.128
H -1.519 2.843 -0.281 0.115
H -2.262 4.951 -1.582 0.098
H -0.285 5.841 -2.697 0.053
H 0.796 5.019 -1.473 0.053
```

---

(2)
Density functional theory data (ωB97M-V with the def2-TZVPD basis set) for a structure of composition C16H48FO8S8Zr in a non-equilibrium geometry.

Total charge: +3
HOMO energy: -16.3440 eV

```
82
Properties=species:S:1:pos:R:3:lowdin_charge:R:1
Zr 33.206 -16.293 30.122 1.952
F 31.709 -17.253 29.054 -0.468
C 36.069 -19.848 28.784 -0.212
S 34.404 -19.538 29.264 0.938
O 34.314 -18.062 29.575 -0.669
C 33.635 -19.801 27.707 -0.214
H 36.283 -19.511 27.770 0.078
H 36.298 -20.909 28.881 0.084
H 36.721 -19.320 29.480 0.050
H 34.023 -20.710 27.251 0.089
H 33.918 -18.972 27.061 0.038
H 32.558 -19.764 27.852 0.064
C 34.516 -14.581 25.995 -0.183
S 34.183 -16.175 26.733 0.957
O 33.933 -15.872 28.187 -0.702
C 32.594 -16.468 25.982 -0.221
H 33.967 -14.405 25.073 0.077
H 35.579 -14.557 25.758 0.066
H 34.267 -13.824 26.733 0.042
H 31.883 -15.757 26.401 -0.002
H 32.202 -17.474 26.061 0.064
H 32.674 -16.227 24.919 0.079
C 37.554 -16.148 28.548 -0.211
S 36.931 -15.563 30.128 0.927
O 35.486 -15.880 30.204 -0.678
C 37.751 -16.735 31.195 -0.213
H 36.863 -16.845 28.076 0.041
H 38.520 -16.632 28.690 0.071
Through his art and performances, Michael Alan Alien continues to push boundaries and challenge conventions, embracing his identity as an outsider and a creative force. His playful approach to art and life reflects his belief that being weird is a form of creativity, and that life itself is a strange and wonderful journey. As he continues to create and inspire, Michael Alan Alien remains a beacon of light in a world that can sometimes feel dark and uncertain.